Local SEO is a vast topic. It’s important for small businesses to be able to rank on search engines like Google and Bing, but it takes more than just keywords. You need to consider several factors when developing your local SEO strategy. Here are 5 local SEO tips that will help you get started.
Create a Google Business Profile Account For Local SEO
If you haven’t done so yet, create a Google Business Profile account. It’s free and allows you to add photos, descriptions, and other details about your business. You’ll also be able to manage reviews, respond to customer questions, and more. In addition, you can use Google Maps to see where your customers are coming from and find out how many of them have arrived by foot, bike or car.
The days when most businesses and organizations could operate with little more than a telephone, fax machine, and word-of-mouth advertising are gone forever. Today’s small business owners must rely on modern marketing tools such as social media websites and mobile applications to stay connected with potential customers.
Once your business is up on these sites, you may be able to get the word out about yourself rather quickly — which is great news for new small business owners who know they need solid marketing strategies but don’t yet know what they should do next. Furthermore, the sites are free and easy to use, so you can get started without spending a penny.
Create a Google Maps listing
Unrelated to this page: crystal structures:
<<<
# LiEr4Ni (PBE-GGA, relaxed)
# - E (eV per atom) = -4.1124
# - DOS at the Fermi energy (states/eV/f.u.) = 7.8
# - formation enthalpy at 0 K (eV/atom) = 0.2121
data_LiEr4Ni
_chemical_formula_sum 'Li4 Er16 Ni4'
_cell_length_a 8.5031
_cell_length_b 8.5031
_cell_length_c 9.4714
_cell_angle_alpha 90.00
_cell_angle_beta 90.00
_cell_angle_gamma 90.00
_symmetry_space_group_name_H-M 'I 41 m d'
_symmetry_Int_Tables_number 109
_symmetry_space_group_name_Hall 'I 4bw -2'
loop_
_atom_site_label
_atom_site_type_symbol
_atom_site_fract_x
_atom_site_fract_y
_atom_site_fract_z
_atom_site_occupancy
Li1 Li 0.0000 0.0000 0.0000 1
Er1 Er 0.0000 0.1889 0.2807 1
Er2 Er 0.0000 0.1988 0.7345 1
Ni1 Ni 0.0000 0.0000 0.5044 1


The following is a DFT calculation (PBE) of a relaxed Ti2MnZnN crystal.

Cell and atoms, written as extended XYZ:
```
5
Lattice="4.1392 0.0000 0.0000 0.0000 4.1392 0.0000 0.0000 0.0000 3.7777" Properties=species:S:1:pos:R:3 pbc="T T T"
Ti 0.0000 2.0696 0.0000
Ti 2.0696 0.0000 0.0000
Mn 0.0000 0.0000 1.8889
Zn 2.0696 2.0696 1.8889
N 0.0000 0.0000 0.0000
```

The crystal system is tetragonal. The calculation puts the formation energy (no corrections) at -3.40 eV/f.u. The space-group type is P4/mmm (123). Its electronic total energy is -7.592 eV per atom. Its density of states at the Fermi level is 3.883 states/eV per cell. Its magnetization is 1.584 μB per formula unit.


# TbPrSmS3 | the Alexandria database | GGA-PBE | relaxed
data_TbPrSmS3
_symmetry_space_group_name_H-M 'P 1 21/m 1'
_symmetry_Int_Tables_number 11
_symmetry_space_group_name_Hall '-P 2yb'
_cell_length_a 6.9434
_cell_length_b 3.9280
_cell_length_c 10.4699
_cell_angle_alpha 90.00
_cell_angle_beta 102.50
_cell_angle_gamma 90.00
loop_
_atom_site_label
_atom_site_fract_x
_atom_site_fract_y
_atom_site_fract_z
_atom_site_occupancy
Tb1 0.2332 0.2500 0.4447 1
Pr1 0.3451 0.7500 0.8034 1
Sm1 0.1260 0.7500 0.1314 1
S1 0.0523 0.2500 0.6541 1
S2 0.2808 0.2500 0.9961 1
S3 0.4537 0.7500 0.3420 1
# calculated volume = 23.23 Å³ per atom
# spin magnetization = 0.0 μB/f.u.
# density = 6509 kg/m³
# raw formation energy = -1.9290 eV per atom
# energy = -6.35 eV per atom

---

# TbPr3Sm3S8 | the Alexandria database | GGA-PBE | relaxed
data_TbPr3Sm3S8
_symmetry_space_group_name_H-M 'R -3 m'
_symmetry_Int_Tables_number 166
_symmetry_space_group_name_Hall '-R 3 2"'
_cell_length_a 8.0639
_cell_length_b 8.0639
_cell_length_c 19.9179
_cell_angle_alpha 90.00
_cell_angle_beta 90.00
_cell_angle_gamma 120.00
loop_
_atom_site_label
_atom_site_fract_x
_atom_site_fract_y
_atom_site_fract_z
_atom_site_occupancy
Tb1 0.0000 0.0000 0.0000 1
Pr1 0.0000 0.5000 0.5000 1
Sm1 0.0000 0.5000 0.0000 1
S1 0.0000 0.0000 0.2528 1
S2 0.0041 0.5020 0.7463 1
# calculated volume = 24.93 Å³ per atom
# spin magnetization = 0.0 μB/f.u.
# density = 5726 kg/m³
# raw formation energy = -2.0512 eV per atom
# energy = -6.46 eV per atom

---

What is the formula in the first record? TbPrSmS3

---

density of number 1 (TbPrSmS3)? 6509 kg/m³

---
>>>
If you haven’t done so yet, create a Google Maps listing for your business. You’ll need to enter in all the details about your location and business hours, but it’s pretty straightforward. There are also some helpful tips on creating a great-looking page here.
Google Maps is a great service for mapping out your business location. You can use it to give potential customers directions to your store or create a listing optimized for search.
If you’re a small business owner, ensuring your business is listed in the right places online is important. You can create a listing on Google Maps, which allows customers to get directions to your location. This will help with customer acquisition and lead conversion rates.
Add Photos and Videos

********
Record 1
Here is a relaxed structure of CsSeIN2 from Alexandria. Energies are from GGA-PBE.

Structure (POSCAR):
```
CsSeIN2
1.0
4.913 0.000 0.000
0.000 4.913 0.000
0.000 0.000 5.873
Cs I Se N
1 1 1 2
Cartesian
2.456 2.456 2.937 Cs
0.000 0.000 2.937 I
0.000 0.000 0.000 Se
0.000 2.456 0.000 N
2.456 0.000 0.000 N
```

Uncorrected formation energy ... 1.3304 eV per atom
Crystal system ... tetragonal
Excess energy over the best structure of this formula in the dataset ... 0.0 kJ per mole of atoms
Space-group type ... No. 123

***

Record 2
Here is a relaxed structure of Cs2SeI6N from Alexandria. Energies are from GGA-PBE.

Structure (POSCAR):
```
Cs2SeI6N
1.0
8.011 0.000 0.000
0.000 8.011 0.000
4.006 4.006 5.636
Cs I Se N
2 6 1 1
Cartesian
8.011 4.006 2.818 Cs
4.006 8.011 2.818 Cs
4.006 4.006 2.660 I
8.011 8.011 2.976 I
2.117 2.117 0.000 I
5.894 5.894 0.000 I
5.894 2.117 0.000 I
2.117 5.894 0.000 I
0.000 0.000 0.000 Se
4.006 4.006 0.000 N
```

Uncorrected formation energy ... -0.2003 eV per atom
Crystal system ... tetragonal
Space-group type ... No. 139

***

Record 3
Here is a relaxed structure of CsSeIN2 from Alexandria. Energies are from GGA-PBE.

Structure (POSCAR):
```
CsSeIN2
1.0
4.493 0.000 0.000
0.000 4.493 0.000
0.000 0.000 7.608
Cs I Se N
1 1 1 2
Cartesian
0.000 0.000 0.000 Cs
2.247 2.247 3.804 I
0.000 0.000 3.804 Se
0.000 2.247 0.000 N
2.247 0.000 0.000 N
```

Uncorrected formation energy ... 2.1617 eV per atom
Crystal system ... tetragonal
Excess energy over the best structure of this formula in the dataset ... 80.2 kJ per mole of atoms
Space-group type ... No. 123

***

Record 4
Here is a relaxed structure of CsSiI2N from Alexandria. Energies are from GGA-PBE.

Structure (POSCAR):
```
CsSiI2N
1.0
-6.454 1.483 -1.040
-1.777 -4.440 4.697
0.179 2.445 2.379
Cs I Si N
1 2 1 1
Cartesian
-4.026 -0.255 3.018 Cs
-0.888 -2.220 2.349 I
-3.227 0.742 -0.520 I
0.000 0.000 0.000 Si
0.089 1.223 1.189 N
```

Uncorrected formation energy ... -0.2414 eV per atom
Crystal system ... tetragonal
Space-group type ... No. 123

***

Record 5
Here is a relaxed structure of Cs2SnI6N from Alexandria. Energies are from GGA-PBE.

Structure (POSCAR):
```
Cs2SnI6N
1.0
-3.751 8.462 -0.293
-3.070 -1.061 8.672
1.074 5.752 6.028
Cs I Sn N
2 6 1 1
Cartesian
-3.044 8.957 4.963 Cs
-2.703 4.196 9.445 Cs
-1.494 4.577 4.976 I
-4.253 8.576 9.433 I
-1.572 1.705 1.931 I
-5.249 5.696 6.449 I
-3.594 6.268 1.773 I
-3.227 1.133 6.607 I
0.000 0.000 0.000 Sn
-3.410 3.701 4.190 N
```

Uncorrected formation energy ... -0.3486 eV per atom
Crystal system ... tetragonal
Space-group type ... No. 139

***

Record 6
Here is a relaxed structure of CsSrIN2 from Alexandria. Energies are from GGA-PBE.

Structure (POSCAR):
```
CsSrIN2
1.0
4.775 0.000 0.000
0.000 4.775 0.000
0.000 0.000 6.696
Cs I N Sr
1 1 2 1
Cartesian
0.000 0.000 0.000 Cs
0.000 0.000 3.348 I
0.000 2.388 0.000 N
2.388 0.000 0.000 N
2.388 2.388 3.348 Sr
```

Uncorrected formation energy ... 1.2034 eV per atom
********
Make sure to upload high-quality images and videos to your listing. This will help customers find your business when searching for nearby businesses.
Adding photos is one of the best ways to help people find you on Google Maps. Here’s how:
Open up My Business > Create new listing .
Click Add photo. Upload an image from your computer or take one using your smartphone camera (or another device).
Please select where you want it placed on the map. Enter in basic information about what you do at this location, such as name and address type (optional) and opening hours (required).
You can have multiple locations listed under one listing if each has different contact information or offers specific services or products.
Save changes by clicking Update now,
Update Listings
You should also keep your Google Business Profile listings updated with new phone numbers, addresses, and other relevant details. If you’re not updating your listings regularly, potential customers won’t see them.
Keeping your Google Business Profile up to date is important. Not only does it help you rank higher in search results, but it also helps protect you from potential competitors who may try to steal your customers by purchasing the exact keywords and trying to rank for them themselves.
Remember that if someone else ranks for a keyword or phrase you’re targeting with paid ads, they will also be able to compete directly with you!
Promote Your Business Online
There are several ways to promote your business online. One of the easiest ways to do so is through social media. Social media sites like Facebook, Twitter, Instagram, and LinkedIn allow businesses to connect with current and prospective clients. These sites also provide a platform where people can share reviews and recommendations about your company.
On the other hand, social media also allow customers to voice their concerns about your company. This can be a good thing if you want to know what is going on with the company, but it can also be bad because you may not hear any complaints until after the fact.
Monitor Reviews
It’s important to monitor reviews posted by customers on review websites. This helps you identify areas of improvement and learn what your customers think about your products and services. You should also respond to negative reviews as soon as possible. Doing so shows that you care about customer satisfaction and encourages them to leave positive feedback.
Getting Reviews

You can get reviews from your customers and the community, but it’s important to understand that many reviews don’t necessarily mean you’ll have more success. Here are some tips on how to get started:
Get your first review
# The piece is interrupted by materials data
┌──
[1]
# HfAs2PbBr

An optimized crystal structure of HfAs2PbBr (PBEsol, Alexandria via LeMat-Bulk).

As for the energy above the most stable polymorph in this dataset: 0 meV/atom. As for the crystal system: tetragonal. The density of states at the Fermi level comes out at 1.40 states/eV per cell. The calculation puts the spin magnetization at 0.00 Bohr magnetons per cell. Its formation energy (no corrections) is -0.1805 eV per atom. Its space group is P4/mmm.

Unit cell a=5.1412 b=5.1412 c=5.1403 alpha=90.00 beta=90.00 gamma=90.00
With the nearest neighbours (Å) after each atom.
Atoms (fractional coordinates):
Pb1 0.5000 0.5000 0.5000  8 As 3.64, 4 Br 3.64
As1 0.0000 0.5000 0.0000  2 Hf 2.57
As2 0.5000 0.0000 0.0000  2 Hf 2.57
Hf1 0.0000 0.0000 0.0000  2 Br 2.57, 4 As 2.57
Br1 0.0000 0.0000 0.5000  2 Hf 2.57

---

[2]
# HfReAsBr2

An optimized crystal structure of HfReAsBr2 (PBEsol, Alexandria via LeMat-Bulk).

As for the crystal system: tetragonal. The density of states at the Fermi level comes out at 2.32 states/eV per cell. The calculation puts the spin magnetization at 5.30 Bohr magnetons per cell. Its formation energy (no corrections) is 0.9455 eV per atom. Its space group is P4/mmm.

Unit cell a=5.0669 b=5.0669 c=5.2825 alpha=90.00 beta=90.00 gamma=90.00
With the nearest neighbours (Å) after each atom.
Atoms (fractional coordinates):
Re1 0.5000 0.5000 0.5000  4 As 3.58, 8 Br 3.66
As1 0.0000 0.0000 0.5000  2 Hf 2.64
Hf1 0.0000 0.0000 0.0000  4 Br 2.53, 2 As 2.64
Br1 0.0000 0.5000 0.0000  2 Hf 2.53
Br2 0.5000 0.0000 0.0000  2 Hf 2.53

---

[3]
# HfScAsBr2

An optimized crystal structure of HfScAsBr2 (PBEsol, Alexandria via LeMat-Bulk).

As for the crystal system: tetragonal. The density of states at the Fermi level comes out at 4.60 states/eV per cell. The calculation puts the spin magnetization at 1.26 Bohr magnetons per cell. Its formation energy (no corrections) is -0.2729 eV per atom. Its space group is P4/mmm.

Unit cell a=5.0492 b=5.0492 c=5.2606 alpha=90.00 beta=90.00 gamma=90.00
With the nearest neighbours (Å) after each atom.
Atoms (fractional coordinates):
Sc1 0.5000 0.5000 0.5000  4 As 3.57, 8 Br 3.65
As1 0.0000 0.0000 0.5000  2 Hf 2.63
Hf1 0.0000 0.0000 0.0000  4 Br 2.52, 2 As 2.63
Br1 0.0000 0.5000 0.0000  2 Hf 2.52
Br2 0.5000 0.0000 0.0000  2 Hf 2.52

---

[4]
# HfScAs2Br

An optimized crystal structure of HfScAs2Br (PBEsol, Alexandria via LeMat-Bulk).

As for the crystal system: tetragonal. The density of states at the Fermi level comes out at 3.40 states/eV per cell. The calculation puts the spin magnetization at 0.03 Bohr magnetons per cell. Its formation energy (no corrections) is 0.1454 eV per atom. Its space group is P4/mmm.

Unit cell a=4.8094 b=5.0468 c=5.0468 alpha=90.00 beta=90.00 gamma=90.00
With the nearest neighbours (Å) after each atom.
Atoms (fractional coordinates):
Sc1 0.0000 0.0000 0.0000  2 Br 2.40, 4 As 2.52
As1 0.0000 0.0000 0.5000  2 Sc 2.52
As2 0.0000 0.5000 0.0000  2 Sc 2.52
└──
Be proactive about asking for reviews. If you’re unsure if someone has given you feedback yet, don’t just ask them directly—ask them on Twitter and other social media platforms where people tend to be more open about their experience with businesses and brands (i.e., Yelp). You could also use tools like Google Voice Search so that people searching for your business will see messages from the phone number associated with your account.